- - -
(1)
PmLuMg2, optimized geometry, DFT GGA-PBE; crystal system = cubic
1.0
4.399 -0.895 2.946
0.152 1.551 5.138
-0.093 -3.672 3.917
Mg Pm Lu
2 1 1
Direct
0.250 0.250 0.250
0.750 0.750 0.750
0.000 0.000 0.000
0.500 0.500 0.500

---

(2)
PrLuMg2, optimized geometry, DFT GGA-PBE; crystal system = cubic
1.0
0.000 3.818 3.818
3.818 0.000 3.818
3.818 3.818 0.000
Mg Pr Lu
2 1 1
Direct
0.750 0.750 0.750
0.250 0.250 0.250
0.000 0.000 0.000
0.500 0.500 0.500

---

(3)
LuMgRh2, optimized geometry, DFT GGA-PBE; crystal system = cubic
1.0
0.171 -4.589 -0.081
1.371 -2.313 3.723
-3.032 -2.454 2.424
Lu Rh Mg
1 2 1
Direct
0.000 0.000 0.000
0.250 0.250 0.250
0.750 0.750 0.750
0.500 0.500 0.500

---

(4)
LuMgTiS4, optimized geometry, DFT GGA-PBE; MP2020-corrected energy = -0.2292 Ha/atom; crystal system = orthorhombic
1.0
-6.266 0.850 -4.375
-3.273 -5.994 -3.235
-6.712 -2.543 2.362
Mg S Lu Ti
2 8 2 2
Direct
0.123 0.127 0.127
0.877 0.873 0.873
0.734 0.271 0.761
0.274 0.750 0.750
0.266 0.729 0.239
0.726 0.250 0.250
0.274 0.250 0.250
0.726 0.750 0.750
0.266 0.239 0.729
0.734 0.761 0.271
0.000 0.500 0.500
0.500 0.500 0.500
0.500 0.000 0.500
0.500 0.500 0.000

---

(5)
LuMg2Ti3S8, optimized geometry, DFT GGA-PBE; MP2020-corrected energy = -0.2331 Ha/atom; crystal system = trigonal
1.0
-3.454 4.266 5.132
-6.882 -1.693 2.495
-1.117 -2.461 7.015
S Ti Lu Mg
8 3 1 2
Direct
0.750 0.750 0.275
0.275 0.750 0.750
0.750 0.275 0.750
0.741 0.741 0.741
0.725 0.250 0.250
0.250 0.725 0.250
0.250 0.250 0.725
0.259 0.259 0.259
0.500 0.500 0.000
0.000 0.500 0.500
0.500 0.000 0.500
0.500 0.500 0.500
0.874 0.874 0.874
0.126 0.126 0.126

---

(6)
LuMg2V3S8, optimized geometry, DFT GGA-PBE; MP2020-corrected energy = -0.2327 Ha/atom; crystal system = trigonal
1.0
-5.910 -4.272 -1.338
-3.646 -3.233 5.579
-6.790 2.286 1.878
S V Mg Lu
8 3 2 1
Direct
0.752 0.752 0.278
0.261 0.262 0.262
0.248 0.722 0.248
0.278 0.752 0.752
0.248 0.248 0.722
0.752 0.278 0.752
0.739 0.738 0.738
0.722 0.248 0.248
0.000 0.500 0.500
0.500 0.000 0.500
0.500 0.500 0.000
0.125 0.126 0.126
0.875 0.874 0.874
0.500 0.500 0.500

---

(7)
Lu3Mg2VS8, optimized geometry, DFT GGA-PBE; MP2020-corrected energy = -0.2255 Ha/atom; crystal system = triclinic
1.0
6.660 -0.002 3.856
2.224 6.165 3.846
0.001 -0.011 7.709
Mg Lu S V
2 3 8 1
Direct
0.875 0.874 0.875
0.125 0.126 0.125
0.000 0.500 0.500
0.500 0.500 0.500
0.500 0.500 0.000
0.744 0.267 0.744
0.727 0.238 0.268
0.273 0.762 0.732
0.256 0.733 0.256
0.732 0.762 0.273
0.267 0.238 0.267
0.733 0.762 0.733
0.268 0.238 0.727
0.500 0.000 0.500

---

(8)
LuMgWS4, optimized geometry, DFT GGA-PBE; MP2020-corrected energy = -0.2385 Ha/atom; crystal system = orthorhombic
1.0
-3.380 -5.460 -4.034
0.843 -7.242 1.967
-5.851 -3.790 2.903
S W Mg Lu
8 2 2 2
Direct
0.277 0.751 0.751
0.735 0.271 0.759
0.280 0.249 0.249
0.723 0.249 0.249
0.735 0.759 0.271
0.720 0.751 0.751
0.265 0.729 0.241
0.265 0.241 0.729
0.500 0.500 0.000
0.500 0.000 0.500
0.873 0.877 0.877
0.127 0.123 0.123
0.000 0.500 0.500
0.500 0.500 0.500

---

no.,ΔE_f (eV/atom)
1,-0.079
2,-0.082
3,-0.803
4,-1.871
5,-1.736
6,-1.471
7,-1.925
8,-1.399
- - -

Next, filter the contents further up: keep the lines with the word "atom".

LuMgTiS4, optimized geometry, DFT GGA-PBE; MP2020-corrected energy = -0.2292 Ha/atom; crystal system = orthorhombic
LuMg2Ti3S8, optimized geometry, DFT GGA-PBE; MP2020-corrected energy = -0.2331 Ha/atom; crystal system = trigonal
LuMg2V3S8, optimized geometry, DFT GGA-PBE; MP2020-corrected energy = -0.2327 Ha/atom; crystal system = trigonal
Lu3Mg2VS8, optimized geometry, DFT GGA-PBE; MP2020-corrected energy = -0.2255 Ha/atom; crystal system = triclinic
LuMgWS4, optimized geometry, DFT GGA-PBE; MP2020-corrected energy = -0.2385 Ha/atom; crystal system = orthorhombic
no.,ΔE_f (eV/atom)